I've heard liberals cite this book a lot.
What is your opinion on it Sup Forums?
I've heard liberals cite this book a lot.
What is your opinion on it Sup Forums?
Other urls found in this thread:
Basically says whites were first and everyone else is catching up
uneducated white supremacists vs a phd historian academician intellectual's thesis
I read the God Delusion once. So therefore I am smarter than you.
It was utter trash.
And it's thesis is fundamentally flawed.
Philosophy and memes are what make great civilizations not location.
So your saying if you live in a place with no resources you can just meme your way to greatness
>what pol actually believes
>reddit spacing
(Crystal structures that have nothing to do with the entry)
'''
Entry from the Materials Project: an optimized crystal structure of CaMg (PBE).

a b c (Å): 3.645 3.645 17.054
angles (deg): 90.00 90.00 120.00
Fractional coordinates of all 6 atoms:
Ca 0.000 0.000 0.653
Ca 0.333 0.667 0.842
Ca 0.333 0.667 0.172
Mg 0.000 0.000 0.007
Mg 0.000 0.000 0.339
Mg 0.333 0.667 0.488

Summary:
Theoretical density (g/cm3): 1.6
Symmetry: P3m1, No. 156
E_tot (eV/f.u.): -3.44
Calculated volume (A^3/atom): 32.697
Energy relative to the elements (eV/atom): 0.0847
Total magnetization (μB per formula unit): 0.1

---

Entry from the Materials Project: an optimized crystal structure of CaMg (PBE).

a b c (Å): 7.031 7.031 8.208
angles (deg): 74.60 74.60 29.76
Fractional coordinates of all 6 atoms:
Ca 0.611 0.611 0.253
Ca 0.333 0.333 0.327
Ca 0.945 0.945 0.635
Mg 0.667 0.667 0.679
Mg 0.274 0.274 0.944
Mg 0.003 0.003 0.995

Summary:
Theoretical density (g/cm3): 1.7
Symmetry: Cm, No. 8
E_tot (eV/f.u.): -3.53
Calculated volume (A^3/atom): 32.274
Energy relative to the elements (eV/atom): 0.0367
Total magnetization (μB per formula unit): 0.0

---

Entry from the Materials Project: an optimized crystal structure of CaMg2 (PBE).

a b c (Å): 6.219 6.219 6.219
angles (deg): 60.00 60.00 60.00
Fractional coordinates of all 6 atoms:
Ca 0.500 0.500 0.500
Ca 0.750 0.750 0.750
Mg 0.625 0.125 0.125
Mg 0.125 0.125 0.125
Mg 0.125 0.125 0.625
Mg 0.125 0.625 0.125

Summary:
Theoretical density (g/cm3): 1.7
Symmetry: Fd-3m, No. 227
E_tot (eV/f.u.): -5.52
Calculated volume (A^3/atom): 28.345
Energy relative to the elements (eV/atom): -0.1038

---

Entry from the Materials Project: an optimized crystal structure of CaMg3 (PBE).

a b c (Å): 3.529 5.374 5.797
angles (deg): 90.00 90.00 90.00
Fractional coordinates of all 4 atoms:
Mg 0.500 0.500 0.344
Mg 0.000 0.500 0.819
Mg 0.500 0.000 0.663
Ca 0.000 0.000 0.173

Summary:
Theoretical density (g/cm3): 1.7
Symmetry: Pmm2, No. 25
E_tot (eV/f.u.): -6.71
Calculated volume (A^3/atom): 27.491
Energy relative to the elements (eV/atom): 0.0231
Total magnetization (μB per formula unit): 0.0
'''
>no arguments
Opinion discarded, now and forever
Book of assumptions based on Liberal points of view.
You don't need to read some thesis of excuses to know that niggers are retarded which is why they don't develop in any facet of life.
There's a lot of valid criticisms on this book, but you won't find any sound arguments on Sup Forums. Just a lot of
>hurr its wrong niggers r all just niggers
American Renaissance covered this book in 2008
i'm sorry, it was in 1998 actually!
one year after the book was published.
probably long before they started forcing kids to read it in public school...
it's just a bunch of excuses for subhumans
Look man, niggers are dumb, they have an IQ twenty points below the rest of the planet. Diplomacy between their people is solved through dismemberment and cannibalism. It's not a case of "catching up" or "last to discover X process or design", the knowledge has been accessible to them for millenia, they're stupid nigger brains just can't process the information to copy someone else let alone innovate.
But user, niggers are just niggers.
Is that what I said?
>thinks that just because they look like horses they behave like horses
That's the only way leftists can win arguments.
Putting words in your mouth and argueing against an argument you never made.
The vile Jew Jared Diamond's Phd is worth less than toilet paper.
He has the chutzpah to claim that abos and new guinean cannibals are the master race.
Pic related.
>Im-fucking-plying there are no resources in Africa.
Stop trying to address the ideas proved by this book you're all being fallacious and getting nowhere. We have to come to the realization that leftists have a monopoly on the one thing we don't, truth. We must go back to the memes and faux-philosophy designed to grab the emotions of people, emotion is all we have, the truth is not on our side.
So smart:
>in mental ability, New Guineans are probably genetically superior to Westerners
Makes perfect sense
Yeah, this is LIMP tier retro-history. China had every material advantage Europe did and was,briefly, a world power 100s of years before Europe but China screwed the pooch and collapsed; why? No Christianity, no concept of universal, God Given Rights so the Chinese stomped-out their weaker anons, their own culture because there was no reason not to.....
Which is why they still eat each other?
dindu nuffin
The post above you proves you wrong. Now go back to your gaylord website.
So tell us Mexican Wizard
How did horses act before they were tamed ?
How did dogs act before they were tamed ?
What is selective breeding ?
If only had china realized they could use their gunpowder to make firearms earlier than europe
**Between two parts of the article: calculated crystals**
┌──
(1)
HoZn3 | GGA-PBE | relaxed

Summary:
electronic total energy: -2.45 eV per atom
E_form: -8.397 kcal/mol of atoms

Unit cell a=4.367 b=6.707 c=10.054 alpha=90.00 beta=90.00 gamma=90.00
Atoms (fractional coordinates):
Ho1 0.750 0.720 0.338
Ho2 0.750 0.220 0.162
Zn1 0.250 0.037 0.396
Zn2 0.750 0.963 0.604
Zn3 0.750 0.283 0.457
Zn4 0.750 0.582 0.648
Zn5 0.250 0.217 0.957
Ho3 0.250 0.280 0.662
Zn6 0.250 0.717 0.543
Zn7 0.250 0.918 0.148
Zn8 0.750 0.463 0.896
Zn9 0.250 0.537 0.104
Zn10 0.250 0.418 0.352
Ho4 0.250 0.780 0.838
Zn11 0.750 0.082 0.852
Zn12 0.750 0.783 0.043

---

(2)
HoZn12 | GGA-PBE | relaxed

Summary:
electronic total energy: -1.69 eV per atom
E_form: -4.140 kcal/mol of atoms

Unit cell a=6.759 b=6.759 c=6.759 alpha=99.22 beta=99.22 gamma=132.81
Atoms (fractional coordinates):
Zn1 0.000 0.648 0.648
Zn2 0.648 0.000 0.648
Zn3 0.500 0.000 0.000
Zn4 0.282 0.500 0.782
Zn5 0.000 0.000 0.500
Zn6 0.000 0.352 0.352
Zn7 0.500 0.718 0.218
Zn8 0.718 0.500 0.218
Zn9 0.000 0.500 0.000
Ho1 0.000 0.000 0.000
Zn10 0.500 0.500 0.500
Zn11 0.500 0.282 0.782
Zn12 0.352 0.000 0.352

---

(3)
Ho6Zn23 | GGA-PBE | relaxed

Summary:
electronic total energy: -2.26 eV per atom
E_form: -7.199 kcal/mol of atoms

Unit cell a=8.975 b=8.975 c=8.975 alpha=60.00 beta=60.00 gamma=60.00
Atoms (fractional coordinates):
Ho1 0.293 0.293 0.707
Zn1 0.328 0.015 0.328
Zn2 0.500 0.000 0.000
Zn3 0.878 0.878 0.366
Zn4 0.985 0.672 0.672
Ho2 0.707 0.293 0.293
Zn5 0.878 0.366 0.878
Zn6 0.366 0.878 0.878
Zn7 0.672 0.672 0.672
Zn8 0.500 0.500 0.000
Zn9 0.122 0.122 0.634
Zn10 0.000 0.500 0.000
Zn11 0.634 0.122 0.122
Zn12 0.500 0.000 0.500
Ho3 0.293 0.707 0.293
Zn13 0.328 0.328 0.015
Ho4 0.707 0.707 0.293
Zn14 0.000 0.000 0.500
Zn15 0.015 0.328 0.328
Zn16 0.878 0.878 0.878
Zn17 0.000 0.000 0.000
Zn18 0.000 0.500 0.500
Zn19 0.672 0.985 0.672
Zn20 0.328 0.328 0.328
Zn21 0.122 0.122 0.122
Zn22 0.672 0.672 0.985
Ho5 0.707 0.293 0.707
Ho6 0.293 0.707 0.707
Zn23 0.122 0.634 0.122

---

(4)
HoZr | GGA-PBE | relaxed

Summary:
electronic total energy: -6.48 eV per atom
spin magnetization: 0.004 μB/cell
E_form: 2.074 kcal/mol of atoms

Unit cell a=3.406 b=3.406 c=5.361 alpha=90.00 beta=90.00 gamma=120.00
Atoms (fractional coordinates):
Zr1 0.000 0.000 0.000
Ho1 0.333 0.667 0.500

---

(5)
InI | GGA-PBE | relaxed

Summary:
electronic total energy: -2.60 eV per atom
E_form: -15.132 kcal/mol of atoms

Unit cell a=6.939 b=6.939 c=4.952 alpha=90.00 beta=90.00 gamma=139.01
Atoms (fractional coordinates):
I1 0.857 0.143 0.250
I2 0.143 0.857 0.750
In1 0.605 0.395 0.250
In2 0.395 0.605 0.750

---

(6)
InI4 | GGA-PBE | relaxed

Summary:
electronic total energy: -2.00 eV per atom
spin magnetization: 6.045 μB/cell
E_form: -12.329 kcal/mol of atoms

Unit cell a=14.447 b=14.447 c=14.447 alpha=60.00 beta=60.00 gamma=60.00
Atoms (fractional coordinates):
I1 0.938 0.062 0.717
In1 0.250 0.750 0.250
I2 0.062 0.283 0.717
I3 0.562 0.438 0.217
I4 0.938 0.717 0.283
I5 0.717 0.938 0.062
I6 0.283 0.062 0.938
└──
**So much for the calculated crystals**
I know this book is commonly required for bullshit classes at colleges and universities. Humanities, history, anthropology, etc.
(((Diamond))) gets rich every year in royalty from this forced required book reading as a clever scam.
Lol what? Australia has to run adverts on the TV to stop abos from sleeping in roads and being run over.
There is not even the slightest hint of them "mastering industrial techniques" - they have IQ's of 60 and are suited to a hunter gatherer lifestyle - one of bushcraft.
Hes such a bullshitter.
Africa has resources. So does new guinea. So did North America. So did South America. All inhabited by tribes and natives. What stopped Native Americans from using the resources that the US has built it's infrastructure on?
Thesis only works with Australia with aboriginals because most of Australia is a shit hole.
Africa is one of the most resource rich countries though
(((Jared Diamond)))
Don't bother, these leftist cunts never reply. Because they are wrong.
whitey btfo
What are rocket arrows.
What is a a tiger crouching cannon ?
No tamable animals. Oil and diamonds are of zero fucking use to a civilization going from hunter gatherer to farming.
zebras have never been domesticated, not even by white people, fuck out of here dumb fuck
I hate this fucking Jew faggot more that is probably healthy.
Everything I could've said about this book has sadly already been addressed in this bread.
Ferguson's writing is better, West and the Rest is the closest thing to reality you will probably ever find. No Jewish tricks like (((Diamond)))
I see it cited here and then I see 100 (yous) saying it's trash, I'm going to not read it, and just assume it's trash because of how triggered it makes people here.
Muh Europe is wide, Africa is tall.
Can you please stop calling Africa a country? I'm tired of euros spamming
>american education.
Pre-selective breeding, horses were too small and skittish for someone to ride on. Thus the necessity for the chariot. Zebras could have just been bred to riding size by an advanced enough civilization.
Ya dumb bitch.
It just states the obvious, whites ended up in a superior position in history do to location. I don't know how Sup Forums can actually believe whites are magically superior form day one just because. It's fucking retarded.
He just goes into outrageous detail about certain groups and locations for the entire book. It's not wrong, its just rather boring.
>What are rocket arrows.
>What is a a tiger crouching cannon ?
not firearms?
civilizations rise and fall because of various complex circumstances, not because of resources. Obviously if you are a Marxist everything is a zero-sum game.
Its a good read; but it bends over backwards to explain away why Europeans, Middle Easterners and Asians became dominant. That explanation works decently for the peoples of the Americas (isolation causing a susceptibility to old world disease and forcing them to invent all technology for themselves) but it falls flat for explaining why Africans and Abos were as primitive as they were.
I'd say read it for the information and analyze it for yourself rather than just taking Diamond's analysis as correct. The facts in it are very interesting even if the interpretation is a bit of a stretch.
What are aurochs?
What are wolves?
What are Wild horse/Tarpans?
Europeans and Asians have animals that are equally difficult to tame, but they succeeded in doing so.
Umm, excuse me, that book is not peer reviewed
Its a book on secular humanist apologetics that claimed that discrepancies between ethnicities and societies were tied exclusively to geographical features and therefore racism was scientifically disproven.
It of course had massive holes in the theory, and was later discredited completely when it was determined that homo sapiens had different levels of archaic hominid admixture as they expanded across all continents, creating scientifically measurable and indisputable genetic swarths between different ethno-regions of humans.
It predated
>No tamable animals
White people eat everything, tamable or not. If we're hungry a way will be found to subdue and consume other creatures. Being too stupid to use the flora and fauna of the land effectively is no excuse.
A lot of historians have issues with the book.
>niggers are all just niggers
Prove to me this is wrong.
((( (((jared)))(((diamond))) )))
Fucking cultural Marxism. It ensures every aspect of culture follows the admonition:
>Work from a flawed premise and be rewarded for hypocrisy
Basically expends the whole book making excuses for nonwhites being undeveloped.
Including bullshit ones like claiming zebras couldn't be domesticated (tey can).
>aborigionals routinely master industrial technologies when given the opportunity to do so.
MY. FUCKING SIDES. Abbos can't even master not being drunk for 5 consecutive minutes.
Vee is be uwu
So do blacks, the Africans problem is Africa is full of crap to eat via foraging so they never had incentives to develop mass agriculture.
What are you people talking about? Liberals hate this book. I was sitting in an anthropology class the other day when the Prof mentioned this book. Immediately, half the class started to snicker and roll their eyes and the Prof then acknowledge d how dumb Diamond is.
Fire arrows are the predecessors of fire lances, the first firearm
Yeah, I remember scoffing at this part in particular. Like I said before the book has good information; but Diamond's conclusions are dubious to say the least.
Basically Diamond spent some time in New Guniea and he was impressed by how much the people knew about the forest, what to eat, what's poisonous, what you can make medicine out of, etc., etc.
And out of that he convinced himself that they were somehow smarter than westerners because they had all this knowledge of their environment that we lack.
Its a flawed analysis though because what the New Guinea people know of the forest is basically the equivalent of the knowledge we have of how to operate in society. They know which plants they can eat, we know not to try and cross a street unless there's a sign telling us to walk. Its the same basic environmental knowledge but Diamond wanked off over how much the people of New Guinea knew because it was alien to him.
Diamond is correct that primitive people do have survival knowledge that we do not and which our society might not appreciate. But concluding that they're smarter than us in any way was just him shoving his head up his ass to try and embrace the delusion that everyone is equal.
Some of the things (((Jared Diamond))) says in it are true, but it's retarded to think that genetics and IQ have absolutely no effect on what civilizations are like.
>Thus the necessity for the chariot. Zebras could have just been bred to riding size by an advanced enough civilization.
So how come no has done it yet dumb bitch?
I dont know what that has to do with the fact that no one has been able to domesticate zebras
Jared Diamond doesn't dare touch the AQ in any of his books.
The university intellectuals also play an important role in carrying out the System's trick. Though they like to fancy themselves independent thinkers, the intellectuals are (allowing for individual exceptions) the most oversocialized, the most conformist, the tamest and most domesticated, the most pampered, dependent, and spineless group in America today. As a result, their impulse to rebel is particularly strong. But, because they are incapable of independent thought, real rebellion is impossible for them. Consequently they are suckers for the System's trick, which allows them to irritate people and enjoy the illusion of rebelling without ever having to challenge the System's basic values.
Because they are the teachers of young people, the university intellectuals are in a position to help the System play its trick on the young, which they do by steering young people's rebellious impulses toward the standard, stereotyped targets: racism, colonialism, women's issues, etc. Young people who are not college students learn through the media, or through personal contact, of the "social justice" issues for which students rebel, and they imitate the students. Thus a youth culture develops in which there is a stereotyped mode of rebellion that spreads through imitation of peers—just as hairstyles, clothing styles, and other fads spread through imitation.
Excellent post, and by a leaf no less.
Woe to the conquered.
The Selfish Gene is great too
Rocket Arrow (Chinese) >
lead to these FIREARMS
Fire Lance (Chinese) >
Hand Cannon (Chinese) >
white privilege: the book
horses have and had a hierarchy structure and are less aggresive towards humans than zebras. Dogs started to hang out with us just because they saw it as an opportunity for food
Is the petrol huffing thing a really widespread issue, or just a funny meme on Abos retarded behavior in general?
One of the fundamental flaws of this book is the claim that animals in Africa are undomesticatable. This is patently bullshit. Domestication happens when you take the least aggressive individuals of a species and selectively breed them. The silver fox experiment, where Russian scientists domesticated a wild fox within 3 generations, proves this.
Basically, if Africans correctly isolated and bred wild animals, they'd have the means to establish a civilization.
Here's a good run down westhunt.wordpress.com
>Captain Horace Hayes, in "Points of the Horse" (circa 1893), compared the usefulness of different zebra species. In 1891, Hayes broke a mature, intact mountain zebra stallion to ride in two days time, and the animal was quiet enough for his wife to ride and be photographed upon. He found the Burchell's zebra easy to break, and considered it ideal for domestication, as it was immune to the bite of the tsetse fly. He considered the quagga (now extinct) well-suited to domestication due to being easy to train to saddle and harness.
Location is everything. It's why we evolved to be white (both physically and mentally), to adapt to our environment.
wasn't this BTFO when the oldest human remains were found in Europe. also the New Zealand shit was LMAO.
No it really is all as bad as you hear.
Nope we bread dogs from wolves..
but nice try. it wasn't just wild animals stated hanging out with us for food. The closest living relative of the dog is the gray wolf and there is no evidence of any other canine contributing to its genetic lineage
Zebras have a hieracrchy the same as horse. They are in the same family.
Attempts have been made to train zebras for riding, since they have better resistance than horses to African diseases. Most of these attempts failed, as would have initial attempts to tame wild horses.
the difference ? TIME Give us a few 100 years and whites can tame anything. Because we rock. :)
Funny how you completely ignored the first paragraph before that kek
>Attempts have been made to train zebras for riding, since they have better resistance than horses to African diseases. Most of these attempts failed, as would have initial attempts to tame wild horses, due to the zebra's more unpredictable nature and tendency to panic under stress. For this reason, zebra-mules or zebroids (crosses between any species of zebra and a horse, pony, donkey or ass) are preferred over purebred zebras.
Again no one has domesticated them
Europeans also could have survived off of squirrels and foxes if they wanted to. The difference is that Europeans seem to put an emphasis on the delegation of time so that they can accomplish other tasks within the limited window of day light available. In addition to meat one can argue that animals are a useful tool to produce work as well. Some will claim that the animals of Africa can't be tamed to do work but the same can be said about niggers and you better believe they worked those cotton fields.
Diamond's conclusions are political and designed to advance his own cultural marxist agenda.
It is corruption, not honest scientific inquiry.
And if anyone speaks up against it, they are blackballed and persecuted.
God damn that fucker and his fellow tribesmen to fucking hell to what they have done to the liberal arts.
It's a good read. It takes a stab at polylogism by arguing environment played a key role in the advancement of civilization.
This of course doesn't sit well with the racists, nationalists or marxists, and so Diamond is hated by all the right people. That makes him worth a read.
It's part of the truth. North and South America should have had poo-in-loo levels of civilization going by IQ alone, and resource access is part of why they didn't. Anyone who tells you that resource access, culture, or genetics alone are responsible for a group's success or failure is a cuck, cuckservative, or stormfag respectively.
>nonwhites being underdeveloped
must suck for east asians and their high hdi and iq making them underdeveloped
muh zebra iz a horse with stripes there4 it can be tamed
he starts out with the premise that everyone's equal
his evidence that humans are equal, even 60 IQ abbonigs, is that they don't eat shit that kills them and they know their way around an area they lived their whole life
then, in order to support his headcanon, he finds a bunch of excuses for the rest of the world
He's not a historian.
>Jared Mason Diamond is an American ecologist, geographer, biologist, anthropologist and author best known for his popular science books The Third Chimpanzee; Guns, Germs, and Steel; Collapse; and The World Until Yesterday
> You see goy, Europeans were just lucky. Even though you were constantly, for several
centuries, invaded by muslims and other eastern savages and still persisted, it isn't about the quality of the people.
By the way sexual selection doesn't exist.
>Negroids riding zebroids
I need a video of this
All of that was meant as green text
And they really burnt down the interior of Australia thousands of years ago by setting fires to hunt animals?
Jesus fucking Christ, it's hard to fathom the stupidity.
>"it's not cuz Europeans were smart"
Argument from authority logical fallacy, try again nip
A liberal Jew shits out half baked ideas to romanticize third world savages and trick gullible morons out of their money.
Nailed it
>Most of these attempts failed, as would have initial attempts to tame wild horses
You dumb retard, the point of that paragraph is it's hard to domesticate zebras the same way it was hard to domesticate horses, but it's still been done repeatedly (by white people).